The Verdict Is In

Not that you should be too surprised by the rigged outcome :

The mock trial of Darwin’s theory by Kansas’ Board of Education, which concluded on May 12, included testimonies and cross-examination of and by pro-evolution and pro-creationism experts.

The board’s trial voted 6 to 4 in favour of bringing the concept of “intelligent design” within the methods of teaching science in schools. Over two dozen scientists, teachers and lawyers said the state’s science standards be amended to incorporate alternative thinking.
. . .
At the centre of the trials is Steve Abrams, a veterinarian and Republican, who among other things believes that earth is only 5,000 years old, a view propagated by Christian conservatives, as opposed to 4.5 billion years as argued by scientists.

Abrams as the board chairman has challenged the validity of evolution as the only valid explanation of life. He has said evolutionary biology is inadequate in terms of evidence and there ought to be an intelligent designer at the helm.

Now let’s put aside the obvious fact that the folks pushing intelligent design are the same ones who think the Bible code is real, are looking for Noah’s ark, and think dinosaur bones were hidden underground by the devil. On its own merits, intelligent design is complete horseshit.

First of all, if you’re an ID advocate, stop using the word “theory”. You don’t get to use that word. What you’re trying to push is a hypothesis, which is always trumped by a theory. Just ask one of the kids whose science classes you’re trying to screw up. When scientists have an idea about how the world works, they come up with a hypothesis that they can test. If it stands up to repeated scrutiny, it eventually gets labeled a scientific “theory”. There’s a few decades of research and peer review to do before you earn the right to use that word.

Before that happens, you should also deal with the fact that intelligent design is a crappy hypothesis. It would be one thing if your “alternative thinking” was based on an observation of some sort, but it’s just a half-assed inferrence based on a lack of evidence. Looking at nature’s complexity and jumping to the conclusion that it must have been to the work of a “designer” holds about as much scientific merit and assuming that thunder is the sound god makes when she’s angry.

--- i ---
10
Properties=species:S:1:pos:R:3:lowdin_charge:R:1 method="wB97M-V/def2-TZVPD" charge=-1 orbital_gap_ev="7.36 / 7.17" homo_ev="-3.98 / -3.82"
C -0.6966 -0.3778 -0.0272 -0.289
O 1.3458 2.0657 0.3443 -0.347
O 2.2423 -0.1719 1.0890 -0.380
O 0.4597 0.9401 2.4048 -0.384
O -1.4922 -0.6992 -2.2133 -0.129
O -0.5170 0.0859 -1.1575 -0.150
S 1.1868 0.8628 1.1297 0.570
H -0.2446 -1.2732 0.4583 0.068
H -1.5446 -0.2653 0.5270 0.030
H -0.7398 -1.1671 -2.5550 0.011

***

--- ii ---
10
Properties=species:S:1:pos:R:3:lowdin_charge:R:1 method="wB97M-V/def2-TZVPD" charge=-1 orbital_gap_ev=9.25 homo_ev=-5.37
C -1.0705 0.1447 -1.7187 -0.603
O 2.7200 -0.1335 0.8244 -0.160
O -1.9140 -0.4977 2.0838 -0.471
O -1.6982 0.3467 -0.6379 -0.234
O 0.0461 -0.3387 -1.8741 -0.069
O 0.1580 0.6772 1.5552 -0.488
S -0.8087 -0.3678 1.1449 0.851
H -1.7573 0.4791 -2.7272 0.144
H 2.4685 -0.6602 0.0922 -0.026
H 1.8560 0.3502 1.2574 0.055

***

Relative energies in eV: i 5.163; ii 0.000

***

--- i ---
12
Properties=species:S:1:pos:R:3:lowdin_charge:R:1 method="wB97M-V/def2-TZVPD" charge=-1 orbital_gap_ev=6.22 homo_ev=-2.89
S 1.8365 -0.2997 1.3445 -0.120
H 2.7713 -1.2387 1.5716 -0.454
C -0.6456 -1.7317 -0.6379 -0.516
S -1.2071 -0.3226 -1.6206 0.357
S -1.6620 1.1481 -0.2782 0.364
C -0.1180 1.9760 0.1773 -0.542
H -0.2602 -1.3688 0.2968 -0.088
H -1.4617 -2.4427 -0.5043 0.014
H 0.1875 -2.2064 -1.1499 0.021
H -0.2360 3.0319 -0.0800 0.012
H 0.0756 1.9001 1.2319 -0.021
H 0.7197 1.5543 -0.3511 -0.027

***

--- ii ---
12
Properties=species:S:1:pos:R:3:lowdin_charge:R:1 method="wB97M-V/def2-TZVPD" charge=-1 orbital_gap_ev=5.88 homo_ev=-2.61
C 1.5679 0.9118 1.3848 -0.518
S 0.8948 0.6232 3.0490 0.498
H 2.4743 1.4825 1.5992 0.003
H 0.7840 1.5340 0.8465 0.051
H 1.7579 -0.0838 1.1238 -0.020
C -0.9921 -0.4896 -2.2034 -0.590
S -2.0842 -1.8277 -1.5044 0.074
S -1.8013 -1.3551 0.6349 -0.359
H -0.0216 -0.7340 -1.9191 -0.046
H -0.8638 -0.7625 -3.2890 0.000
H -1.4246 0.6277 -2.1600 0.069
H -0.2913 0.0737 2.4377 -0.162

***

Relative energies in eV: i 0.000; ii 0.946

***

--- i ---
12
Properties=species:S:1:pos:R:3:lowdin_charge:R:1 method="wB97M-V/def2-TZVPD" charge=-1 orbital_gap_ev=5.99 homo_ev=-2.48
C -2.0684 -0.9752 -0.0267 -0.515
S -2.2076 0.4608 1.0922 0.535
H -1.6555 -0.7717 -1.0126 0.022
H -1.2680 -1.6167 0.3604 0.009
H -3.0236 -1.4837 0.0149 -0.002
C 2.2119 -0.0013 -0.2419 -0.586
S 1.8498 1.2381 1.0240 0.083
S 0.6795 2.5762 -0.0707 -0.260
H 2.7898 -0.8730 0.0643 0.010
H 2.7454 0.4988 -1.0531 0.001
H 1.2425 -0.3129 -0.6399 -0.013
H -1.2957 1.2606 0.4889 -0.285

***

--- ii ---
12
Properties=species:S:1:pos:R:3:lowdin_charge:R:1 method="wB97M-V/def2-TZVPD" charge=-1 orbital_gap_ev=5.65 homo_ev=-2.11
S -0.3991 2.5371 1.0244 0.009
H -1.7148 2.6351 0.7512 -0.298
C 1.7984 -0.3317 -0.3217 -0.223
C 0.3360 -0.7685 -0.4016 -0.665
S -0.6787 0.2322 0.7971 0.183
S -2.4968 -1.1535 0.0215 0.038
H 2.1554 -0.5187 0.7019 0.053
H 1.8309 0.7927 -0.3988 0.056
H 2.4595 -0.8478 -1.0519 0.062

So if you’re serious about the “Gosh, the world sure is complicated. It must be god’s work.” hypothesis, go back to the drawing board. Stop concentrating on what you percieve to be evolution’s weaknesses and try working on ID’s strengths. Find a way to incorporate your beliefs with every bit of evidence that the scientific world has previously discovered and figure out how to test the damn thing. Submit your new hypothesis to some scientific journals and pray that the free marketplace of ideas favors your side.

It bears repeating that ID advocates already tried to get some respect for their hypotheis in the scientific community back when it was called “creationism”. They failed. This route isn’t about getting respect for intelligent design, it’s about trying to take a short cut (and in the process cripple the next generation of scientists) by appealing to the beliefs and exploiting the ignorance of school board members. As much as I want to religion out of public schools, my big concern here is protecting the integrity of our educational system from being slowly eroded by a flood of pseudoscience.

UPDATE : Reader Tony writes in to point out a mistake in the article I quoted above :

The “trial” was held before a subcommittee of three of the board’s most conservative members. They will supposedly take their findings to the rest of the board, which will vote sometime in the summer about which science standards to accept. The “minority” standards that they are likely to report won’t, as your post claimed, require Kansas teachers to instruct their students in intelligent design. The ID supporters are more subtle than that. Instead, they change the definition of science itself so that it will be open to “objective” approaches (i.e., allowing the role of miracles in the development of life).